## Input
Calculated powder diffractogram of Sc2Ga2Ir for Cu Kα (λ = 1.5418 Å), from a cell relaxed with GGA-PBE.
Intensities are scaled so that the largest is 100.

The 12 most intense peaks (2θ = 10–90°), most intense first:
| 2θ/deg | intensity |
| --- | --- |
| 42.58 | 100 |
| 37.72 | 88 |
| 35.18 | 88 |
| 22.65 | 76 |
| 48.76 | 71 |
| 29.53 | 50 |
| 64.68 | 47 |
| 18.69 | 44 |
| 37.90 | 36 |
| 46.26 | 32 |
| 26.55 | 28 |
| 76.28 | 26 |

Cell and atoms:
```
data_Sc2Ga2Ir
_symmetry_space_group_name_H-M 'P 4/m n c'
_symmetry_Int_Tables_number 128
_symmetry_space_group_name_Hall '-P 4 2n'
_cell_length_a 6.714
_cell_length_b 6.714
_cell_length_c 7.850
_cell_angle_alpha 90.00
_cell_angle_beta 90.00
_cell_angle_gamma 90.00
loop_
_atom_site_label
_atom_site_fract_x
_atom_site_fract_y
_atom_site_fract_z
_atom_site_occupancy
Sc1 0.171 0.322 0.000 1
Ga1 0.132 0.632 0.250 1
Ir1 0.000 0.000 0.228 1
```

~~~~~

Li6MnO3F3: computed powder XRD pattern (Cu Kα), based on a crystal structure in Alexandria, relaxed with PBE+U.

Atomic structure:
```
Li6MnO3F3
1.0
5.151 0.000 0.000
-0.888 5.099 0.000
-2.242 -1.845 10.062
Li Mn O F
12 2 6 6
direct
0.000 0.000 0.000
0.008 0.000 0.511
0.174 0.542 0.583
0.213 0.596 0.085
0.313 0.237 0.755
0.356 0.218 0.263
0.528 0.750 0.905
0.539 0.679 0.375
0.698 0.943 0.704
0.727 0.850 0.176
0.880 0.410 0.835
0.922 0.389 0.340
0.628 0.340 0.543
0.630 0.326 0.042
0.301 0.387 0.432
0.546 0.504 0.195
0.674 0.109 0.886
0.844 0.644 0.016
0.845 0.629 0.498
0.935 0.246 0.655
0.258 0.425 0.919
0.387 0.019 0.596
0.387 0.969 0.068
0.531 0.575 0.726
0.672 0.046 0.352
0.975 0.184 0.168
```

Peak list (12 most intense, 2θ from 10° to 90°, by angle)
h k l	Position (°2θ)	I/Imax
0 1 0	17.66	100
1 0 0	18.02	52
0 1 2	27.28	7
-1 1 2	27.97	24
1 1 -2	28.71	19
1 -1 2	29.50	23
-1 1 4	41.53	30
1 2 -2	42.91	29
0 1 4	43.07	7
2 -1 2	43.97	28
1 0 6	62.73	7
3 1 0	63.19	7

~~~~~

1.
Theoretical powder X-ray diffraction pattern
Compound: CsBi2Au
Radiation: copper Kα
Structure: a cell relaxed with PBE
Peak positions follow from Bragg's law for the DFT cell and can differ from measured ones.

Cell and atoms:
Cell lengths 7.7172, 10.8802, 8.5459 Å; angles 90.00, 90.00, 90.00 degrees
Positions (direct):
Cs: 0.1423 0.2500 0.1060
Cs: 0.3577 0.7500 0.6060
Cs: 0.6423 0.2500 0.3940
Cs: 0.8577 0.7500 0.8940
Bi: 0.1515 0.1097 0.5859
Bi: 0.1515 0.3903 0.5859
Bi: 0.3485 0.6097 0.0859
Bi: 0.3485 0.8903 0.0859
Bi: 0.6515 0.1097 0.9141
Bi: 0.6515 0.3903 0.9141
Bi: 0.8485 0.6097 0.4141
Bi: 0.8485 0.8903 0.4141
Au: 0.0966 0.7500 0.2498
Au: 0.4034 0.2500 0.7498
Au: 0.5966 0.7500 0.2502
Au: 0.9034 0.2500 0.7502

Largest 6 diffraction maxima, sorted by position, 10 to 80 degrees two-theta:
Position (°2θ)  intensity
13.2  100
23.8  67
29.1  58
30.3  43
32.3  44
40.3  51

---

2.
Theoretical powder X-ray diffraction pattern
Compound: HoFe7B3
Radiation: copper Kα
Structure: a cell relaxed with PBE
Peak positions follow from Bragg's law for the DFT cell and can differ from measured ones.

Cell and atoms:
Cell lengths 7.2644, 7.2644, 7.2644 Å; angles 54.66, 54.66, 54.66 degrees
Positions (direct):
Ho: 0.0000 0.0000 0.0000
Ho: 0.5000 0.5000 0.5000
Fe: 0.0818 0.8513 0.6512
Fe: 0.1487 0.3488 0.9182
Fe: 0.1512 0.3513 0.5818
Fe: 0.2500 0.2500 0.2500
Fe: 0.3488 0.9182 0.1487
Fe: 0.3513 0.5818 0.1512
Fe: 0.4182 0.8488 0.6487
Fe: 0.5818 0.1512 0.3513
Fe: 0.6487 0.4182 0.8488
Fe: 0.6512 0.0818 0.8513
Fe: 0.7500 0.7500 0.7500
Fe: 0.8488 0.6487 0.4182
Fe: 0.8513 0.6512 0.0818
Fe: 0.9182 0.1487 0.3488
B: 0.0768 0.7500 0.4232
B: 0.2500 0.5768 0.9232
B: 0.4232 0.0768 0.7500
B: 0.5768 0.9232 0.2500
B: 0.7500 0.4232 0.0768
B: 0.9232 0.2500 0.5768

Largest 6 diffraction maxima, sorted by position, 10 to 80 degrees two-theta:
Position (°2θ)  intensity
26.7  37
36.7  64
41.7  40
42.1  60
46.0  100
48.4  33

---

3.
Theoretical powder X-ray diffraction pattern
Compound: YCuSO
Radiation: copper Kα
Structure: a cell relaxed with PBE

## Wanted
Quote all of the contents further up word for word.

## Solution
Calculated powder diffractogram of Sc2Ga2Ir for Cu Kα (λ = 1.5418 Å), from a cell relaxed with GGA-PBE.
Intensities are scaled so that the largest is 100.

The 12 most intense peaks (2θ = 10–90°), most intense first:
| 2θ/deg | intensity |
| --- | --- |
| 42.58 | 100 |
| 37.72 | 88 |
| 35.18 | 88 |
| 22.65 | 76 |
| 48.76 | 71 |
| 29.53 | 50 |
| 64.68 | 47 |
| 18.69 | 44 |
| 37.90 | 36 |
| 46.26 | 32 |
| 26.55 | 28 |
| 76.28 | 26 |

Cell and atoms:
```
data_Sc2Ga2Ir
_symmetry_space_group_name_H-M 'P 4/m n c'
_symmetry_Int_Tables_number 128
_symmetry_space_group_name_Hall '-P 4 2n'
_cell_length_a 6.714
_cell_length_b 6.714
_cell_length_c 7.850
_cell_angle_alpha 90.00
_cell_angle_beta 90.00
_cell_angle_gamma 90.00
loop_
_atom_site_label
_atom_site_fract_x
_atom_site_fract_y
_atom_site_fract_z
_atom_site_occupancy
Sc1 0.171 0.322 0.000 1
Ga1 0.132 0.632 0.250 1
Ir1 0.000 0.000 0.228 1
```

~~~~~

Li6MnO3F3: computed powder XRD pattern (Cu Kα), based on a crystal structure in Alexandria, relaxed with PBE+U.

Atomic structure:
```
Li6MnO3F3
1.0
5.151 0.000 0.000
-0.888 5.099 0.000
-2.242 -1.845 10.062
Li Mn O F
12 2 6 6
direct
0.000 0.000 0.000
0.008 0.000 0.511
0.174 0.542 0.583
0.213 0.596 0.085
0.313 0.237 0.755
0.356 0.218 0.263
0.528 0.750 0.905
0.539 0.679 0.375
0.698 0.943 0.704
0.727 0.850 0.176
0.880 0.410 0.835
0.922 0.389 0.340
0.628 0.340 0.543
0.630 0.326 0.042
0.301 0.387 0.432
0.546 0.504 0.195
0.674 0.109 0.886
0.844 0.644 0.016
0.845 0.629 0.498
0.935 0.246 0.655
0.258 0.425 0.919
0.387 0.019 0.596
0.387 0.969 0.068
0.531 0.575 0.726
0.672 0.046 0.352
0.975 0.184 0.168
```

Peak list (12 most intense, 2θ from 10° to 90°, by angle)
h k l	Position (°2θ)	I/Imax
0 1 0	17.66	100
1 0 0	18.02	52
0 1 2	27.28	7
-1 1 2	27.97	24
1 1 -2	28.71	19
1 -1 2	29.50	23
-1 1 4	41.53	30
1 2 -2	42.91	29
0 1 4	43.07	7
2 -1 2	43.97	28
1 0 6	62.73	7
3 1 0	63.19	7

~~~~~

1.
Theoretical powder X-ray diffraction pattern
Compound: CsBi2Au
Radiation: copper Kα
Structure: a cell relaxed with PBE
Peak positions follow from Bragg's law for the DFT cell and can differ from measured ones.

Cell and atoms:
Cell lengths 7.7172, 10.8802, 8.5459 Å; angles 90.00, 90.00, 90.00 degrees
Positions (direct):
Cs: 0.1423 0.2500 0.1060
Cs: 0.3577 0.7500 0.6060
Cs: 0.6423 0.2500 0.3940
Cs: 0.8577 0.7500 0.8940
Bi: 0.1515 0.1097 0.5859
Bi: 0.1515 0.3903 0.5859
Bi: 0.3485 0.6097 0.0859
Bi: 0.3485 0.8903 0.0859
Bi: 0.6515 0.1097 0.9141
Bi: 0.6515 0.3903 0.9141
Bi: 0.8485 0.6097 0.4141
Bi: 0.8485 0.8903 0.4141
Au: 0.0966 0.7500 0.2498
Au: 0.4034 0.2500 0.7498
Au: 0.5966 0.7500 0.2502
Au: 0.9034 0.2500 0.7502

Largest 6 diffraction maxima, sorted by position, 10 to 80 degrees two-theta:
Position (°2θ)  intensity
13.2  100
23.8  67
29.1  58
30.3  43
32.3  44
40.3  51

---

2.
Theoretical powder X-ray diffraction pattern
Compound: HoFe7B3
Radiation: copper Kα
Structure: a cell relaxed with PBE
Peak positions follow from Bragg's law for the DFT cell and can differ from measured ones.

Cell and atoms:
Cell lengths 7.2644, 7.2644, 7.2644 Å; angles 54.66, 54.66, 54.66 degrees
Positions (direct):
Ho: 0.0000 0.0000 0.0000
Ho: 0.5000 0.5000 0.5000
Fe: 0.0818 0.8513 0.6512
Fe: 0.1487 0.3488 0.9182
Fe: 0.1512 0.3513 0.5818
Fe: 0.2500 0.2500 0.2500
Fe: 0.3488 0.9182 0.1487
Fe: 0.3513 0.5818 0.1512
Fe: 0.4182 0.8488 0.6487
Fe: 0.5818 0.1512 0.3513
Fe: 0.6487 0.4182 0.8488
Fe: 0.6512 0.0818 0.8513
Fe: 0.7500 0.7500 0.7500
Fe: 0.8488 0.6487 0.4182
Fe: 0.8513 0.6512 0.0818
Fe: 0.9182 0.1487 0.3488
B: 0.0768 0.7500 0.4232
B: 0.2500 0.5768 0.9232
B: 0.4232 0.0768 0.7500
B: 0.5768 0.9232 0.2500
B: 0.7500 0.4232 0.0768
B: 0.9232 0.2500 0.5768

Largest 6 diffraction maxima, sorted by position, 10 to 80 degrees two-theta:
Position (°2θ)  intensity
26.7  37
36.7  64
41.7  40
42.1  60
46.0  100
48.4  33

---

3.
Theoretical powder X-ray diffraction pattern
Compound: YCuSO
Radiation: copper Kα
Structure: a cell relaxed with PBE